
Body donation plays an important role in teaching and research.
Our work at the Wales Centre for Anatomical Education is regulated and monitored by the Human Tissue Authority (HTA).
It is based on the fundamental principle that anyone wishing to donate their body for scientific use is fully informed of the purposes and processes involved before they consent.
Who can donate
To register as a donor you must be over 17 years old, however there is no maximum age limit. Any individual over 17 with capacity to give consent can register as a donor.
The designated catchment area for Cardiff University covers the following post codes: CF, LD, NP SA and SY (Welsh counties of SY).
Cardiff University will pay for the burial of a deceased or a cremation at Thornhill Crematorium. We will also pay the transportation costs if you live within a 50 mile radius.
There may be some costs to the next-of-kin which could include:
- transportation costs if you live outside of a 50 mile radius.
- local funeral directors fees for collection and storage if the death occurs at home or in a care home.
- the cost of purchasing a grave (necessary if you wish to place a headstone on the grave).
- the cost for cremated remains to be couriered.
Donors from abroad
Cardiff University cannot accept any donors who pass away outside of Great Britain. Body donations are required for training and education worldwide so you may wish to consider donating your body in your current country of residence if you live abroad.
Donors with specific medical conditions
At Cardiff University, we use human bodies for anatomical examination by students and for surgical training courses. If the donor has given consent, we may provide samples to the Cardiff University biobank for research to be carried out but we don’t undertake research into specific disorders ourselves.
Post mortems
Among other considerations, we cannot accept a donation if the donor is required to undergo a post-mortem examination, has had recent surgery, carries a transmissible infection or has a medical condition which substantially alters the normal anatomy or compromises our preservation techniques. The cause of death itself could make the body unsuitable for anatomical examination, the object of which is the study of the normal structure of the body. Please see Page 4 of our information pack for further information.

Information pack for donors 2022
This information pack contains information for donors, including consent forms and guidance on procedures.
If this document cannot be read by your assistive software, you can request an accessible version by emailing Please include the assistive tools you use and the format you require.
Organ donor register
Unrelated to this entry: calculated crystals:
<<<
# 1
# SnS2O6F2
Theoretical powder X-ray diffraction pattern, Cu Kα, 1.54184 Å. Input: a cell relaxed with GGA-PBE.
Kinematic intensities with the Lorentz-polarization factor, no thermal factor.

Most intense lines, 2θ from 15° to 90°, in order of rising 2θ:
(0 1 2), 16.09 deg, I 37.1; (1 0 0), 17.50 deg, I 38.1; (1 1 0), 19.69 deg, I 53.3; (1 1 -3), 23.43 deg, I 64.6; (1 2 0), 25.19 deg, I 100.0; (1 2 -2), 25.52 deg, I 46.8; (1 2 1), 27.64 deg, I 42.6; (0 3 1), 27.99 deg, I 74.3; (0 1 4), 28.36 deg, I 93.4; (0 4 1), 37.08 deg, I 35.5

Atomic structure:
```
data_SnS2O6F2
_chemical_formula_sum 'Sn4 S8 O24 F8'
_cell_length_a 5.402
_cell_length_b 9.867
_cell_length_c 14.158
_cell_angle_alpha 90.00
_cell_angle_beta 110.27
_cell_angle_gamma 90.00
_space_group_name_H-M_alt 'P 1 21/c 1'
_space_group_IT_number 14
loop_
_space_group_symop_operation_xyz
'x,y,z'
'-x,-y,-z'
'-x,y+1/2,-z+1/2'
'x,-y+1/2,z+1/2'
loop_
_atom_site_label
_atom_site_fract_x
_atom_site_fract_y
_atom_site_fract_z
_atom_site_occupancy
Sn1 0.028 0.194 0.179 1
S1 0.171 0.183 0.939 1
S2 0.466 0.023 0.691 1
O1 0.042 0.055 0.905 1
O2 0.122 0.211 0.362 1
O3 0.160 0.234 0.034 1
O4 0.271 0.102 0.718 1
O5 0.323 0.597 0.826 1
O6 0.454 0.097 0.244 1
F1 0.300 0.540 0.084 1
F2 0.481 0.151 0.966 1
```



# 2
# TcSO6F
Theoretical powder X-ray diffraction pattern, Cu Kα, 1.54184 Å. Input: a cell relaxed with GGA-PBE.
Kinematic intensities with the Lorentz-polarization factor, no thermal factor.

Most intense lines, 2θ from 15° to 90°, in order of rising 2θ:
(1 1 0), 16.18 deg, I 99.4; (1 1 -1), 18.05 deg, I 46.5; (1 1 1), 19.65 deg, I 50.4; (0 2 0), 21.28 deg, I 43.7; (1 0 -2), 21.56 deg, I 66.0; (0 2 1), 23.41 deg, I 58.2; (1 1 -2), 24.08 deg, I 70.6; (1 0 2), 24.22 deg, I 100.0; (2 0 0), 24.55 deg, I 49.4; (2 1 -2), 31.31 deg, I 54.5

Atomic structure:
```
data_TcSO6F
_chemical_formula_sum 'Tc4 S4 O24 F4'
_cell_length_a 7.318
_cell_length_b 8.349
_cell_length_c 9.255
_cell_angle_alpha 90.00
_cell_angle_beta 97.27
_cell_angle_gamma 90.00
_space_group_name_H-M_alt 'P 1 21/c 1'
_space_group_IT_number 14
loop_
_space_group_symop_operation_xyz
'x,y,z'
'-x,-y,-z'
'-x,y+1/2,-z+1/2'
'x,-y+1/2,z+1/2'
loop_
_atom_site_label
_atom_site_fract_x
_atom_site_fract_y
_atom_site_fract_z
_atom_site_occupancy
Tc1 0.246 0.153 0.154 1
S1 0.415 0.725 0.574 1
O1 0.087 0.096 0.264 1
O2 0.148 0.111 0.981 1
O3 0.249 0.143 0.663 1
O4 0.360 0.602 0.672 1
O5 0.466 0.152 0.353 1
O6 0.471 0.665 0.438 1
F1 0.232 0.682 0.020 1
```



# 3
# Te2SO4F6
Theoretical powder X-ray diffraction pattern, Cu Kα, 1.54184 Å. Input: a cell relaxed with GGA-PBE.
Kinematic intensities with the Lorentz-polarization factor, no thermal factor.

Most intense lines, 2θ from 15° to 90°, in order of rising 2θ:
>>>
So much for the calculated crystals:
Unfortunately, we are unable to accept a donor if their organs have been removed for transplantation (with the exception of the corneas). However, it is acceptable for you to give consent for anatomical examination if you are registered as an organ donor. Organ donation will usually take priority but if your organs aren't considered suitable for transplant, your body may be suitable for donation.
We are extremely grateful to all those who bequeath their bodies to us but unfortunately, it is not possible to guarantee that a donation will be accepted. Donors should always ensure that they have an alternative funeral plan should their body donation not be accepted.
If we are unable to accept your donation, we will inform your next-of-kin or executor as soon as possible and they will be responsible for arranging burial or cremation. We will not be able to make any financial contribution towards funeral cost if this is the case.
How to consent
(These records of crystals were left in the entry by mistake)
+++
# 1
Structure and simulated powder diffraction line list of Bi10Mo3 (a structure optimized by DFT (GGA-PBE); copper Kα).
Peak positions follow from Bragg's law for the DFT cell and can differ from measured ones.

Most intense lines, 2θ = 15–90°, in order of rising 2θ:
- 2θ 24.66, I = 14.3
- 2θ 27.16, I = 19.9
- 2θ 30.13, I = 29.5
- 2θ 31.82, I = 81.4
- 2θ 32.81, I = 100.0
- 2θ 36.59, I = 80.0
- 2θ 41.70, I = 20.6
- 2θ 52.70, I = 22.3
- 2θ 63.51, I = 15.5
- 2θ 65.64, I = 15.9

Cell: 10.300 10.300 7.419 Å, 98.35 98.35 27.58°
Atoms (fractional coordinates):
Bi (0.031, 0.031, 0.224)
Bi (0.173, 0.173, 0.582)
Bi (0.264, 0.264, 0.159)
Bi (0.360, 0.360, 0.828)
Bi (0.430, 0.430, 0.316)
Bi (0.570, 0.570, 0.684)
Bi (0.640, 0.640, 0.172)
Bi (0.736, 0.736, 0.841)
Bi (0.827, 0.827, 0.418)
Bi (0.969, 0.969, 0.776)
Mo (0.121, 0.121, 0.924)
Mo (0.500, 0.500, 0.000)
Mo (0.879, 0.879, 0.076)

---

# 2
Structure and simulated powder diffraction line list of Bi14Mo5 (a structure optimized by DFT (GGA-PBE); copper Kα).
Peak positions follow from Bragg's law for the DFT cell and can differ from measured ones.

Most intense lines, 2θ = 15–90°, in order of rising 2θ:
- 2θ 26.60, I = 25.6
- 2θ 29.03, I = 25.3
- 2θ 31.99, I = 79.5
- 2θ 32.82, I = 100.0
- 2θ 36.83, I = 84.7
- 2θ 40.92, I = 20.7
- 2θ 41.64, I = 29.2
- 2θ 53.07, I = 26.5
- 2θ 63.80, I = 15.6
- 2θ 65.57, I = 18.9

Cell: 14.945 14.945 7.422 Å, 102.14 102.14 18.80°
Atoms (fractional coordinates):
Bi (0.020, 0.020, 0.236)
Bi (0.124, 0.124, 0.650)
Bi (0.175, 0.175, 0.155)
Bi (0.239, 0.239, 0.840)
Bi (0.306, 0.306, 0.434)
Bi (0.401, 0.401, 0.816)
Bi (0.444, 0.444, 0.281)
Bi (0.556, 0.556, 0.719)
Bi (0.599, 0.599, 0.184)
Bi (0.694, 0.694, 0.566)
Bi (0.761, 0.761, 0.160)
Bi (0.825, 0.825, 0.845)
Bi (0.876, 0.876, 0.350)
Bi (0.980, 0.980, 0.764)
Mo (0.080, 0.080, 0.958)
Mo (0.337, 0.337, 0.095)
Mo (0.500, 0.500, 0.000)
Mo (0.663, 0.663, 0.905)
Mo (0.920, 0.920, 0.042)

* * * * *

Record 1
Structure and theoretical powder X-ray diffraction pattern of Na2Ni2AsO6 (the GGA+U geometry in Alexandria; λ = 1.5418 Å (Cu Kα)).
Peak positions follow from Bragg's law for the DFT cell and can differ from measured ones.

Largest 10 diffraction maxima, sorted by position, 5° ≤ 2θ ≤ 70°:
2θ = 16.2°, I 100; 2θ = 32.7°, I 15; 2θ = 36.0°, I 15; 2θ = 37.0°, I 17; 2θ = 40.4°, I 27; 2θ = 42.3°, I 49; 2θ = 53.7°, I 10; 2θ = 57.3°, I 15; 2θ = 62.4°, I 13; 2θ = 64.3°, I 10

Cell and atoms:
Unit cell a=5.207 b=8.693 c=5.803 alpha=90.00 beta=109.45 gamma=90.00
Space group C2/m (No. 12)
Asymmetric unit:
Na 0.000 0.175 0.000 (multiplicity 4)
Ni 0.000 0.334 0.500 (multiplicity 4)
As 0.000 0.000 0.500 (multiplicity 2)
O 0.214 0.156 0.692 (multiplicity 8)
O 0.238 0.000 0.316 (multiplicity 4)

Record 2
Structure and theoretical powder X-ray diffraction pattern of Li3CrBAsO7 (the GGA+U geometry in Alexandria; λ = 1.5418 Å (Cu Kα)).
Peak positions follow from Bragg's law for the DFT cell and can differ from measured ones.
+++
The Human Tissue Act 2004 requires that you give written consent to the donation. A consent form is the easiest way to consent to body donation, both for the donor at the time of consent and for the next-of-kin or executor after the donor passes away. Please ensure one original copy of the consent form is returned to Cardiff University. The other copy should be retained by the donor. A will would also be considered valid consent providing the wording of your intention is clear.
You cannot consent on behalf of someone to donate their body, even if you have been granted ‘Power of attorney
Consent must come from the donor, so only consent forms signed and dated by the donor themselves would be considered valid. The Human Tissue Act 2004 requires a positive decision to be made by the person themselves, before their death.
Consent given to another university
If you are registered to donate your body to a different university and have moved within the catchment area of Cardiff University, you may need to complete a new consent form. Although a consent form completed for another establishment would usually be acceptable to us, the details required on the form may differ so we would appreciate you completing one of our forms.
Deciding to donate
If you decide to donate, it is important to discuss your wishes with your next of kin so that they can carry out your wishes with knowledge and understanding of what is involved.
You should discuss your wishes with your family and/or whoever is likely to deal with your affairs when you pass away. It can also be helpful to discuss your wishes with your GP and solicitor if you have one.
You are not required to inform your doctor of your wishes. However, it would be advisable in the long term to let them know you are on our donor list. After a potential donor has passed, we may contact their doctor to determine whether they are medically fit for our purposes. If your doctor is already aware of your wishes, this might help facilitate the process.
Making a will
There is no obligation to put your wishes in your will, but we advise you make your solicitor aware of your wishes if they are to act as your executor. It can cause issues if with the wording of a will is not specific enough for our purposes, so to ensure we are able to consider your body for donation, our advice is to complete our consent form. You can make a copy of this form to give to your solicitor if you wish, but please send the original form to us.
Materials data from another source follow:
- - -
[1]
# Ca2ZnNi
Simulated powder diffractogram, Cu Kα X-rays. Input: the PBE geometry in Alexandria.
Kinematic intensities with the Lorentz-polarization factor, no thermal factor.

Largest 12 diffraction maxima, by intensity, 10° ≤ 2θ ≤ 90°:
2theta	Rel. int.
31.07	100
39.11	100
32.48	67
16.32	64
39.55	57
22.45	47
42.51	38
43.18	36
59.46	32
55.05	27
62.20	22
55.28	22

Unit cell a=4.1906 b=4.2527 c=10.8608 alpha=90.00 beta=90.00 gamma=90.00
Space group Amm2 (No. 38)
Symmetry-distinct sites (fractional):
Ca 0.0000 0.0000 0.0000
Ca 0.5000 0.0000 0.2847
Zn 0.5000 0.0000 0.5848
Ni 0.0000 0.0000 0.6995

[2]
# Pm2PrSm4Ho
Simulated powder diffractogram, Cu Kα X-rays. Input: the PBE geometry in Alexandria.
Kinematic intensities with the Lorentz-polarization factor, no thermal factor.

Largest 12 diffraction maxima, by intensity, 10° ≤ 2θ ≤ 90°:
2theta	Rel. int.
40.46	100
29.88	75
26.63	52
29.95	38
63.73	26
60.30	20
53.02	14
60.48	10
79.79	9
53.21	8
68.91	7
54.85	7

Unit cell a=13.7708 b=13.3892 c=6.9126 alpha=90.00 beta=119.93 gamma=90.00
Space group C2/c (No. 15)
Symmetry-distinct sites (fractional):
Pm 0.0000 0.0000 0.0000
Pm 0.2500 0.2500 0.0000
Pr 0.2500 0.2500 0.5000
Sm 0.0007 0.2544 0.5012
Sm 0.2470 0.4994 0.9712
Ho 0.0000 0.5000 0.0000

[3]
# Sm2HoTm7
Simulated powder diffractogram, Cu Kα X-rays. Input: the PBE geometry in Alexandria.
Kinematic intensities with the Lorentz-polarization factor, no thermal factor.

Largest 12 diffraction maxima, by intensity, 10° ≤ 2θ ≤ 90°:
2theta	Rel. int.
31.14	100
36.12	51
52.00	36
61.83	29
61.93	14
64.95	12
87.69	10
84.96	9
85.04	9
87.83	6
76.57	4
76.74	2

Unit cell a=6.0897 b=7.0286 c=7.8712 alpha=77.09 beta=75.00 gamma=73.32
Space group P-1 (No. 2)
Symmetry-distinct sites (fractional):
Sm 0.2009 0.2991 0.1009
Ho 0.0000 0.0000 0.5000
Tm 0.0000 0.5000 0.5000
Tm 0.1996 0.8000 0.1010
Tm 0.3996 0.1009 0.6980
Tm 0.3999 0.6003 0.6988

[4]
# Sr6Tl2N
Simulated powder diffractogram, Cu Kα X-rays. Input: the PBE geometry in Alexandria.
Kinematic intensities with the Lorentz-polarization factor, no thermal factor.

Largest 12 diffraction maxima, by intensity, 10° ≤ 2θ ≤ 90°:
2theta	Rel. int.
28.18	100
29.37	78
30.32	64
28.90	58
30.03	56
27.68	43
37.02	43
18.46	39
53.63	34
35.31	27
22.64	25
31.80	25

Unit cell a=3.9267 b=16.1342 c=10.7148 alpha=90.00 beta=90.00 gamma=90.00
Space group Amm2 (No. 38)
Symmetry-distinct sites (fractional):
Sr 0.0000 0.0000 0.0000
Sr 0.0000 0.0989 0.6161
Sr 0.5000 0.0000 0.3361
Sr 0.5000 0.2240 0.9216
Tl 0.0000 0.1759 0.1946
N 0.5000 0.0000 0.5616

[5]
# B2SbSe6
Simulated powder diffractogram, Cu Kα X-rays. Input: the PBE geometry in Alexandria.
Kinematic intensities with the Lorentz-polarization factor, no thermal factor.

Largest 12 diffraction maxima, by intensity, 10° ≤ 2θ ≤ 90°:
2theta	Rel. int.
29.57	100
19.73	85
32.84	79
39.96	62
28.51	61
34.76	59
31.59	57
12.12	51
32.35	48
37.95	39
26.96	39
34.50	35

Unit cell a=15.0307 b=11.7639 c=6.2605 alpha=90.00 beta=103.62 gamma=90.00
- - -
Making alternative funeral plans
As there is no guarantee of acceptance, we encourage all potential donors to have an alternative option prepared. Some companies offer a refundable funeral plan so will refund the money to the next-of-kin or estate if your body is accepted for donation. Therefore, we suggest discussing this with your funeral director to make them aware you have registered as a donor and that this funeral plan would be your second option if not accepted for body donation.
Transporting and collecting the body
This depends on the circumstances of your death. If you die in hospital there will be no need to use the services of a funeral director immediately.
However, if you die at home or in a care home, it's important that your body is transported to cold conditions within a 12-hour period. In this instance, it would be appropriate to contact a local funeral director to collect and store your body. If you live in or near Cardiff, our contracted funeral directors could potentially collect the deceased. If you live outside the 50-mile radius, your next-of-kin/executor may be asked to organise and cover the cost of transportation to Cardiff University via a local funeral director.
Procedure following anatomical examination
Once all studies on the deceased have been completed, we will contact the next-of-kin or executor to make them aware of funeral arrangements.
The deceased will either be cremated or buried depending on the preferences stated by the next-of-kin or executor, and they can attend this service if they wish. If cremated, the cremated remains can either be collected by the next-of-kin, couriered to another funeral directors or scattered at the crematorium grounds.
Alternatively, the next-of-kin or executor can make their own private arrangements if they wish. We are happy to liaise with a funeral director of their choosing to arrange collection of the deceased. The costs for any private funeral arrangements will not be covered by the university.
If you have any queries about the process please contact our Bequest Team.
Bequest Team
Find out more about other forms of donation:
Data protection
Cardiff University will be responsible for looking after and processing the personal data of our donors. This data will be processed as part of the University’s public task to provide teaching, learning and research facilities, and as part of our license from the Human Tissue Authority. The information will be kept in accordance with the General Data Protection Regulations.
If you have any questions regarding how we deal with your data, please contact the Data Protection Officer at
Bereavement support
If you are struggling to cope with the loss of a loved one, there is help and support available to you during this time. You may be able to find support through family, friends, and your GP.
For other help and support:
- The Bereavement Advice Centre provides practical information and advice and signposting on the many issues and procedures that face us after the death of someone close.
- Cruse offers volunteer-led support, advice and information for those who have been bereaved. They provide telephone, email and website support and have specific resources and services for children and young people.